View Full Version : new & anxious

09-01-15, 20:26
hello there,
as you may have gathered im new to this forum and have been suffering from anxiety. I have been suffering now since August last year.
I have always been a worrier, the littlest things have always seemed the biggest to me. But back in August it seemed to just escalate into something alot worse. I feel abit silly talking about what triggered it but basically I hadn't watched the news in years, literally not bothered with it. Then I started seeing things going on in the world around us and it started making me more and more and MORE anxious.
before I knew it the panic attacks kicked in, its taken over every thought I have and just effects every single day of my life.
I am only 22 and I feel like its going to take over the rest of my life too which scares me even more!!
it took me a good 3 months to finally pluck up the courage to see my GP. In which I was put on propanaol and I have also signed myself up for an 8 week 'feel good' course that begins in a few weeks. I hate to say it but the tablets I am on do not help in the slightest but I am afraid to visit my GP for the second time running to tell him these aren't helping in the slightest.
sorry for the long intro but I figured it best to just put it all out there. Thankyou for reading (:

09-01-15, 20:31
Hiya eyelashwishes and welcome to NMP :welcome:

Why not take a look at our articles on our home page, they contain a wealth of information and are a great starting place for your time on the forum.

I hope you find the as site helpful and informative as I have and that you get the help and support you need here and hope that you meet a few friends along the way :yesyes:

09-01-15, 23:43

I understand where you are coming from, the embarrassment and shame of panic/anxiety makes us internalize way too many things. For many years I hid behind a mask of everythings okay, when in reality I was a mess. That state of mind got me to make some really bad decision that not only affected me but my family.

One thing I'd suggest is being honest with your dr. and tell him or her the med's are not working. Lord knows I am no expert, just someone who's lived with panic/anxiety for a while. I suggest finding a psychiatrist who has more specialized training then a GP. Currently the one I use has been great my current med's Prozac and Buspar are working quite well. Another suggest is give the program you're signed for a chance. You never know till you try.

What comes next are calculated crystals, not part of the piece
/*
(1)
GaCu4Te5: computed PXRD pattern (Cu Kα), based on a cell relaxed with PBE.
Neutral-atom scattering factors, no anomalous dispersion.

Crystal structure
```
10
Lattice="2.106 1.216 17.335 -2.106 1.216 17.335 0.000 -2.432 17.335" Properties=species:S:1:pos:R:3 pbc="T T T"
Ga 0.000 0.000 0.000
Cu 0.000 0.000 10.625
Cu 0.000 0.000 21.210
Cu 0.000 0.000 31.322
Cu 0.000 0.000 41.895
Te 0.000 0.000 8.064
Te 0.000 0.000 18.576
Te 0.000 0.000 28.762
Te 0.000 0.000 39.342
Te 0.000 0.000 49.389
```

Top 10 peaks for 2θ = 10–80°, by angle:
2θ = 25.70°, rel. 31; 2θ = 25.88°, rel. 100; 2θ = 42.70°, rel. 42; 2θ = 42.94°, rel. 47; 2θ = 50.51°, rel. 14; 2θ = 50.71°, rel. 28; 2θ = 50.82°, rel. 15; 2θ = 62.16°, rel. 13; 2θ = 68.66°, rel. 12; 2θ = 78.52°, rel. 13

---

(2)
V4PN: computed PXRD pattern (Cu Kα), based on a cell relaxed with PBE.
Neutral-atom scattering factors, no anomalous dispersion.

Crystal structure
```
12
Lattice="-3.442 3.442 3.346 3.442 -3.442 3.346 3.442 3.442 -3.346" Properties=species:S:1:pos:R:3 pbc="T T T"
V 0.000 1.248 0.000
V 1.986 0.000 1.254
V 4.897 0.000 1.254
V 3.442 1.986 -0.419
V 0.000 1.456 2.927
V -1.248 3.442 1.673
V 1.248 3.442 1.673
V 0.000 5.635 0.000
P 3.442 0.000 3.047
P 0.000 0.000 4.720
N 0.000 0.000 1.575
N 0.000 3.442 3.248
```

Top 10 peaks for 2θ = 10–80°, by angle:
2θ = 25.89°, rel. 25; 2θ = 36.94°, rel. 24; 2θ = 37.49°, rel. 100; 2θ = 41.48°, rel. 36; 2θ = 42.61°, rel. 9; 2θ = 49.99°, rel. 23; 2θ = 50.53°, rel. 12; 2θ = 53.23°, rel. 16; 2θ = 63.75°, rel. 25; 2θ = 66.92°, rel. 10
*/
The calculated crystals stop here

Panic/anxiety is one of those things that get's you to dwell on past mistakes and future worries. Try and focus you self on what's going on at the moment. Mindfulness training has been a Godsend for me. There are plenty of free material on the web that can tell you about that.

As you can see I ramble a bit myself. Remember, don't let yourself suffer alone, build a team around you. Best to you.

11-01-15, 15:40
Eyelashwishes why are you afraid to go back to your Gp? You could be saving yourself unnecessary anxiety by doing so, maybe telephone instead or take someone you trust, you do not have to suffer when there is help available. I find propanalol only helps with physical issues of anxiety not the mental anguish.
I did the same as you years ago and didn't tell anyone, certainly not a doctor of fear of getting locked up!!!! It took 6 months for anxiety to pass and is painful to this day to think I put myself through that!
I've been on an antidepressant for a week and feel so much better already.
Sending you a virtual hug xxxx

11-01-15, 21:48
Hi, I get where you're coming from. I have anxiety which is getting worse by the day and depression - also getting worse by the day. I have seen doc and been put on beta blockers too, I'm also on amitriptyline for depression and the non descript aches and pains anxiety brings. However like you I dont feel the meds are working, as above its getting worse by the day and feel like my GP wont believe me for some reason - no idea why i feel that but I do, so dont want to see Doc at all. However i am going tomorrow with my husband will do the talking for me as i get so anxious seeing the doctor I stutter and trip over my words. Is there anyone you could take with you for support? I do understand why you feel like you do but Im sure you're doctor (like mine) will just try to help you the best they can. x